29 October 2007

Global Climate Change: Stuebi on New Scientist Climate Policy Poll

Polls can be meaningless. Sometimes its the sampling. Sometimes its untrustworthy respondents. Often, it's the interpreters who run roughshod over the results. It's easy to make a poll say what you want it to say: just ask the questions in a way that will give you the answers you want.

I'm skeptical about polls.

So is Richard T. Stuebi, the BP Fellow for Energy and Environmental Advancement at The Cleveland Foundation, and Founder and President of NextWave Energy, Inc:

"It seems to me that poll respondents give themselves far too much credit for being well-informed or magnanimous, relative to what they actually know or what will they will do when making real decisions that really affect them," Stuebi writes over at the CleanTech blog:

However, this past summer, a poll conducted and reported by New Scientist magazine did seem to shed some useful insights that policy-makers ought to consider. The reported highlights of the survey were that there was substantial public support in the U.S. for carbon limitations, that the public preferred outright standards to cap-and-trade or (egads!) carbon taxes, and that the desired focus of carbon reductions should be on the electric power sector than on vehicles (don't tread on SUV!).

The piece is interrupted by crystal structures:
+++
(1)
LiCr2P3O12 PBE with a Hubbard U optimized geometry; space group = C2/c, No. 15; E = -255.3 eV for the cell shown; polymorph energy (0 for the lowest one) = 76 meV per atom
1.0
6.161 5.954 0.000
-6.161 5.954 0.000
0.000 2.456 5.757
O Cr P Li
24 4 6 2
direct
0.739 0.148 0.469 O
0.251 0.547 0.729 O
0.749 0.453 0.271 O
0.193 0.172 0.387 O
0.037 0.360 0.587 O
0.592 0.939 0.328 O
0.828 0.807 0.113 O
0.061 0.408 0.172 O
0.640 0.963 0.913 O
0.682 0.537 0.716 O
0.963 0.640 0.413 O
0.463 0.318 0.784 O
0.261 0.852 0.531 O
0.360 0.037 0.087 O
0.408 0.061 0.672 O
0.318 0.463 0.284 O
0.547 0.251 0.229 O
0.172 0.193 0.887 O
0.852 0.261 0.031 O
0.537 0.682 0.216 O
0.453 0.749 0.771 O
0.939 0.592 0.828 O
0.148 0.739 0.969 O
0.807 0.828 0.613 O
0.378 0.060 0.363 Cr
0.940 0.622 0.137 Cr
0.060 0.378 0.863 Cr
0.622 0.940 0.637 Cr
0.277 0.723 0.750 P
0.723 0.277 0.250 P
0.354 0.162 0.855 P
0.646 0.838 0.145 P
0.162 0.354 0.355 P
0.838 0.646 0.645 P
0.500 0.500 0.500 Li
0.500 0.500 0.000 Li

---

(2)
Cd2MoWO8 PBE with a Hubbard U optimized geometry; space group = I-4, No. 82; E = -74.4 eV for the cell shown
1.0
-2.636 2.636 5.697
2.636 -2.636 5.697
2.636 2.636 -5.697
O W Mo Cd
8 1 1 2
direct
0.918 0.505 0.097 O
0.408 0.821 0.903 O
0.756 0.155 0.084 O
0.328 0.244 0.399 O
0.845 0.929 0.601 O
0.495 0.592 0.413 O
0.179 0.082 0.587 O
0.071 0.672 0.916 O
0.250 0.750 0.500 W
0.000 0.000 0.000 Mo
0.500 0.500 0.000 Cd
0.750 0.250 0.500 Cd

---

(3)
Li2Cr2P2O7F2 PBE with a Hubbard U optimized geometry; space group = Pbcn, No. 60; E = -403.4 eV for the cell shown
1.0
-0.020 3.161 -6.147
3.805 -8.787 -4.531
-10.129 -3.480 -1.757
O F P Li Cr
28 8 8 8 8
direct
0.333 0.829 0.532 O
0.687 0.183 0.186 O
0.833 0.171 0.968 O
0.000 0.750 0.505 O
0.167 0.829 0.032 O
0.667 0.171 0.468 O
0.187 0.817 0.314 O
0.313 0.817 0.814 O
0.215 0.616 0.925 O
0.313 0.317 0.186 O
0.215 0.116 0.075 O
0.667 0.671 0.532 O
0.000 0.250 0.495 O
0.500 0.250 0.995 O
0.785 0.384 0.075 O
0.187 0.317 0.686 O
0.167 0.329 0.968 O
0.715 0.384 0.575 O
0.500 0.750 0.005 O
0.785 0.884 0.925 O
0.285 0.616 0.425 O
0.813 0.683 0.314 O
0.813 0.183 0.686 O
0.833 0.671 0.032 O
0.715 0.884 0.425 O
0.285 0.116 0.575 O
0.687 0.683 0.814 O
0.333 0.329 0.468 O
0.911 0.459 0.808 F
0.411 0.041 0.308 F
0.911 0.959 0.192 F
0.411 0.541 0.692 F
0.589 0.459 0.308 F
0.089 0.541 0.192 F
0.589 0.959 0.692 F
0.089 0.041 0.808 F
0.788 0.748 0.439 P
0.788 0.248 0.561 P
0.288 0.252 0.061 P
0.712 0.248 0.061 P
0.712 0.748 0.939 P
0.212 0.752 0.439 P
0.288 0.752 0.939 P
0.212 0.252 0.561 P
0.167 0.999 0.251 Li
0.333 0.999 0.751 Li
0.333 0.499 0.249 Li
0.833 0.001 0.749 Li
0.833 0.501 0.251 Li
0.167 0.499 0.749 Li
0.667 0.501 0.751 Li
0.667 0.001 0.249 Li
0.000 0.500 0.000 Cr
0.500 0.000 0.500 Cr
0.000 0.750 0.176 Cr
0.500 0.250 0.324 Cr
0.500 0.750 0.676 Cr
0.000 0.250 0.824 Cr
0.500 0.500 0.500 Cr
0.000 0.000 0.000 Cr

---

(4)
+++

In my view, the most illuminating finding was the weakness of support for carbon imitations if they induced any significant economic pain. In other words, respondents were fine with climate legislation -- as long as it really didn't cost much. On the other hand, when asked if they would support carbon emission requirements that would increase energy prices significantly -- which is likely to be the case to achieve the magnitudes of emission reductions that are widely viewed necessary to have meaningful impact in protecting the planet -- support evaporated.

(Someone pasted records of crystals at this point)
____________
1.
DFT (GGA-PBE) results for KZrGeBiO6 after structural relaxation.

Its formation energy is -2.352 eV/atom.

The structure belongs to space group F-43m (No. 216); the cell edges are 7.992, 7.992 and 7.992 Å and the angles 90.00°, 90.00° and 90.00°. Symmetry generates all atoms from K at (0.000, 0.000, 0.000), Zr at (0.250, 0.250, 0.750), Ge at (0.250, 0.250, 0.250), Bi at (0.000, 0.000, 0.500) and O at (0.012, 0.250, 0.250).

2.
DFT (GGA-PBE) results for KGeBiS4 after structural relaxation.

Its formation energy is -0.911 eV/atom.

The structure belongs to space group P2_1/c (No. 14); the cell edges are 6.651, 6.807 and 17.385 Å and the angles 90.00°, 108.04° and 90.00°. Symmetry generates all atoms from K at (0.219, 0.241, 0.464), Ge at (0.294, 0.740, 0.844), Bi at (0.260, 0.205, 0.218), S at (0.084, 0.679, 0.717), S at (0.084, 0.746, 0.422), S at (0.475, 0.504, 0.132) and S at (0.499, 0.005, 0.860).

3.
DFT (GGA-PBE) results for Mg3Ge3Bi2O12 after structural relaxation.

Its formation energy is -2.140 eV/atom.

The structure belongs to space group Ia-3d (No. 230); the cell edges are 12.796, 12.796 and 12.796 Å and the angles 90.00°, 90.00° and 90.00°. Symmetry generates all atoms from Mg at (0.000, 0.250, 0.125), Ge at (0.000, 0.250, 0.375), Bi at (0.000, 0.000, 0.000) and O at (0.032, 0.064, 0.667).

4.
DFT (GGA-PBE) results for GeBi2O5 after structural relaxation.

Its formation energy is -1.839 eV/atom.

The structure belongs to space group Pnma (No. 62); the cell edges are 11.086, 3.971 and 11.197 Å and the angles 90.00°, 90.00° and 90.00°. Symmetry generates all atoms from Ge at (0.202, 0.250, 0.136), Bi at (0.082, 0.250, 0.781), Bi at (0.141, 0.250, 0.451), O at (0.004, 0.250, 0.601), O at (0.050, 0.250, 0.179), O at (0.197, 0.750, 0.764), O at (0.241, 0.750, 0.128) and O at (0.247, 0.250, 0.980).

5.
DFT (GGA-PBE) results for Ge2BiO6 after structural relaxation.

As for the energy relative to the lowest polymorph listed for this composition: 25 meV per atom. Its formation energy is -1.801 eV/atom.

The structure belongs to space group P2_1/c (No. 14); the cell edges are 10.704, 9.635 and 5.706 Å and the angles 90.00°, 103.38° and 90.00°. Symmetry generates all atoms from Ge at (0.025, 0.168, 0.156), Ge at (0.452, 0.178, 0.269), Bi at (0.260, 0.624, 0.763), O at (0.079, 0.506, 0.705), O at (0.091, 0.249, 0.437), O at (0.148, 0.695, 0.403), O at (0.375, 0.695, 0.144), O at (0.392, 0.018, 0.148) and O at (0.400, 0.194, 0.543).

6.
DFT (GGA-PBE) results for Ge2BiO6 after structural relaxation.

As for the energy relative to the lowest polymorph listed for this composition: 0 meV per atom. Its formation energy is -1.825 eV/atom.
____________

But, Stuebi confesses, "This is one of the few instances where I actually believe what the poll results say, without any bias." The finding that changed his mind, Stuebi says, is "that -- to avoid catastrophic climate change during the balance of this century -- either we need to quickly develop a zero/low baseload carbon energy source that costs essentially no more than conventional coal generation, or that we quickly need to substantially increase U.S. political will and courage to endure economic sacrifice."

Stuebi's conclusion? "Either will be tremendously challenging. Failing on both counts could doom the planet."

Access the poll here: New Scientist


Edukator said...

Great Blog! Great information on here.

Isn't Stuebi falling into a classic "either or" scenario though? Why not raise the price of energy a little bit and pour funding into developing alternative energies? In fact why not tax coal and oil and put the money towards making and subsidizing green energy? That, to me, would be a way to shift the population to green energy.

Anthropositor said...

+++
# Li2FeTeO6 PBE with a Hubbard U optimized geometry
# Calculated volume ... 103.4 Å³/cell
# Formation energy from the elements ... -17.062 eV per formula unit
data_Li2FeTeO6
_cell_length_a 5.1263
_cell_length_b 5.1344
_cell_length_c 5.4010
_cell_angle_alpha 118.32
_cell_angle_beta 90.02
_cell_angle_gamma 119.70
_symmetry_space_group_name_H-M 'P 1'
_symmetry_Int_Tables_number 1
_symmetry_space_group_name_Hall 'P 1'
loop_
_atom_site_label
_atom_site_type_symbol
_atom_site_fract_x
_atom_site_fract_y
_atom_site_fract_z
Li1 Li 0.0000 0.0000 0.0000
Li2 Li 0.4862 0.9802 0.4794
Fe1 Fe 0.2772 0.5595 0.8475
Te1 Te 0.7796 0.5650 0.3549
O1 O 0.0455 0.7173 0.1340
O2 O 0.1543 0.7201 0.6298
O3 O 0.4078 0.4638 0.1375
O4 O 0.5533 0.4573 0.6234
O5 O 0.6679 0.0808 0.1352
O6 O 0.8981 0.0577 0.6270



# Li2Fe3TeO8 PBE with a Hubbard U optimized geometry
# Calculated volume ... 324.5 Å³/cell
# Formation energy from the elements ... -25.212 eV per formula unit
data_Li2Fe3TeO8
_cell_length_a 6.0633
_cell_length_b 6.1396
_cell_length_c 10.5071
_cell_angle_alpha 106.15
_cell_angle_beta 90.17
_cell_angle_gamma 118.91
_symmetry_space_group_name_H-M 'P 1'
_symmetry_Int_Tables_number 1
_symmetry_space_group_name_Hall 'P 1'
loop_
_atom_site_label
_atom_site_type_symbol
_atom_site_fract_x
_atom_site_fract_y
_atom_site_fract_z
Li1 Li 0.0000 0.0000 0.0000
Li2 Li 0.0710 0.1600 0.3476
Li3 Li 0.4968 0.9981 0.4916
Li4 Li 0.5778 0.1674 0.8602
Fe1 Fe 0.0347 0.5788 0.1753
Fe2 Fe 0.0365 0.5830 0.6757
Fe3 Fe 0.2887 0.5853 0.9307
Fe4 Fe 0.5397 0.5825 0.1769
Fe5 Fe 0.5396 0.5866 0.6753
Fe6 Fe 0.7866 0.5810 0.4226
Te1 Te 0.0403 0.0848 0.6777
Te2 Te 0.5357 0.0816 0.1743
O1 O 0.1514 0.8528 0.5693
O2 O 0.1580 0.3237 0.5674
O3 O 0.1990 0.3872 0.0552
O4 O 0.2025 0.8470 0.0544
O5 O 0.3810 0.3234 0.7899
O6 O 0.3819 0.7692 0.7881
O7 O 0.4178 0.3092 0.2833
O8 O 0.4234 0.8450 0.2836
O9 O 0.6385 0.8362 0.0560
O10 O 0.6458 0.3123 0.0623
O11 O 0.6946 0.3950 0.5700
O12 O 0.6981 0.8573 0.5711
O13 O 0.8692 0.3021 0.2859
O14 O 0.8719 0.7757 0.2878
O15 O 0.9202 0.8463 0.7880
O16 O 0.9385 0.3271 0.7922



# Li4VFeTe2O12 PBE with a Hubbard U optimized geometry
# Calculated volume ... 205.5 Å³/cell
# Maximum piezoelectric response ... 6.808 C/m2
# Formation energy from the elements ... -38.775 eV per formula unit
data_Li4VFeTe2O12
_cell_length_a 5.1258
_cell_length_b 5.3806
_cell_length_c 7.4681
_cell_angle_alpha 93.74
_cell_angle_beta 90.07
_cell_angle_gamma 90.29
_symmetry_space_group_name_H-M 'P 1'
_symmetry_Int_Tables_number 1
_symmetry_space_group_name_Hall 'P 1'
loop_
_atom_site_label
_atom_site_type_symbol
_atom_site_fract_x
_atom_site_fract_y
_atom_site_fract_z
Li1 Li 0.0000 0.0000 0.0000
Li2 Li 0.0011 0.9853 0.5205
Li3 Li 0.4979 0.4527 0.5312
Li4 Li 0.5061 0.4829 0.0021
V1 V 0.0046 0.5326 0.2421
Fe1 Fe 0.5013 0.0351 0.7325
Te1 Te 0.0078 0.5460 0.7400
Te2 Te 0.5006 0.0330 0.2290
O1 O 0.1288 0.5620 0.9852
O2 O 0.1803 0.8635 0.2878
O3 O 0.1916 0.2508 0.6606
O4 O 0.3006 0.7348 0.6559
+++
So much for the materials data >

It seems to me that the central issue Is the production of energy without the pollution attached.

The ultimate answer is solar collection in space and beamed transmission to remote collectors on Earth.

The production of alcohol from corn, a grain needed for both human and livestock consumption is a very bad idea. Cellulosic production of alcohol would be a far better way to go.

Unknown said...

The problem is, edukator, that taxing THE most power full enterprises in the world won't go as easy as it's said.
And, even worse, would mean that green energy is, indeed, more expensive than carbon based energy sources, bringing us back to what Stuebi pointed out.

In my opinion, every community round the world should implement there own green solution, based on their local characteristics, never forgetting global trends and standard solutions.